## Request
The reader should reproduce only the lines further below with the word "factor" in them.
## Contents
=====
The following is a simulated powder diffractogram of MgCu3Te2Br2O6. It was derived from a GGA-PBE-relaxed structure, using a wavelength of 1.5418 Å.
Peak positions follow from Bragg's law for the DFT cell and can differ from measured ones.

Largest 6 diffraction maxima, in order of falling intensity, 2θ from 15° to 90°:
| 2θ/deg | intensity |
| --- | --- |
| 25.03 | 100 |
| 32.95 | 57 |
| 32.08 | 55 |
| 33.76 | 45 |
| 26.77 | 44 |
| 34.82 | 33 |

Structural model:
Lattice parameters (Å, degrees): 6.041 6.041 8.710 107.39 107.39 66.91
Element x y z (fractional)
Mg1 0.000 0.000 0.000
Cu1 0.092 0.604 0.151
Cu2 0.396 0.908 0.849
Cu3 0.549 0.451 0.000
Te1 0.567 0.104 0.253
Te2 0.896 0.433 0.747
Br1 0.058 0.452 0.363
Br2 0.548 0.942 0.637
O1 0.049 0.150 0.843
O2 0.074 0.628 0.912
O3 0.372 0.926 0.088
O4 0.450 0.391 0.162
O5 0.609 0.550 0.838
O6 0.850 0.951 0.157

* * * * *

Record 1
This entry pairs a crystal structure of P2S with its simulated PXRD pattern. Radiation: a wavelength of 1.5418 Å. Structure: the PBE geometry in Alexandria.
Kinematic intensities with the Lorentz-polarization factor, no thermal factor.

Principal peaks in the range 2θ from 10° to 90°, sorted by position:
14.69 deg, rel. 100; 18.34 deg, rel. 20; 19.32 deg, rel. 23; 20.39 deg, rel. 34; 27.13 deg, rel. 30; 31.17 deg, rel. 24; 34.58 deg, rel. 33; 38.31 deg, rel. 28

Lattice parameters (Å, degrees): 5.1078 5.5921 6.6865 111.39 94.58 111.78
Positions (direct):
P1 0.0000 0.0000 0.0000
P2 0.1066 0.1977 0.3689
P3 0.3794 0.6187 0.1205
P4 0.6583 0.0695 0.1810
S1 0.3108 0.6476 0.4386
S2 0.9910 0.5877 0.9381

=====

Record 2
This entry pairs a crystal structure of NaHoCuTe2 with its simulated PXRD pattern. Radiation: a wavelength of 1.5418 Å. Structure: the PBE geometry in Alexandria.
Kinematic intensities with the Lorentz-polarization factor, no thermal factor.

Principal peaks in the range 2θ from 10° to 90°, sorted by position:
11.44 deg, rel. 100; 19.46 deg, rel. 31; 24.42 deg, rel. 46; 25.83 deg, rel. 57; 29.45 deg, rel. 45; 32.68 deg, rel. 46; 35.55 deg, rel. 42; 46.22 deg, rel. 35

Lattice parameters (Å, degrees): 7.8138 4.5607 8.2768 90.00 98.04 90.00
Positions (direct):
Na1 0.0000 0.1634 0.2500
Na2 0.0000 0.8366 0.7500
Ho1 0.5000 0.4956 0.7500
Ho2 0.5000 0.5044 0.2500
Cu1 0.5000 0.0000 0.0000
Cu2 0.5000 0.0000 0.5000
Te1 0.2323 0.3149 0.9671
Te2 0.2323 0.6851 0.4671
Te3 0.7677 0.3149 0.5329
Te4 0.7677 0.6851 0.0329

=====

Record 3
This entry pairs a crystal structure of Er3Tl2N with its simulated PXRD pattern. Radiation: a wavelength of 1.5418 Å. Structure: the PBE geometry in Alexandria.
Kinematic intensities with the Lorentz-polarization factor, no thermal factor.

Principal peaks in the range 2θ from 10° to 90°, sorted by position:
31.77 deg, rel. 100; 32.73 deg, rel. 67; 34.84 deg, rel. 72; 45.54 deg, rel. 37; 58.61 deg, rel. 16; 59.94 deg, rel. 19; 62.90 deg, rel. 14; 64.77 deg, rel. 24

Lattice parameters (Å, degrees): 7.9583 7.9583 6.9429 102.60 102.60 41.44
Positions (direct):
Er1 0.0062 0.9938 0.7500
Er2 0.3910 0.3940 0.4462
Er3 0.3940 0.3910 0.9462
Er4 0.6060 0.6090 0.0538
Er5 0.6090 0.6060 0.5538
Er6 0.9938 0.0062 0.2500
Tl1 0.1993 0.2024 0.1003
Tl2 0.2024 0.1993 0.6003
Tl3 0.7976 0.8007 0.3997
Tl4 0.8007 0.7976 0.8997
N1 0.4907 0.5093 0.7500
N2 0.5093 0.4907 0.2500

=====

Record 4
This entry pairs a crystal structure of Mg3Ag2 with its simulated PXRD pattern. Radiation: a wavelength of 1.5418 Å. Structure: the PBE geometry in Alexandria.
Kinematic intensities with the Lorentz-polarization factor, no thermal factor.

Principal peaks in the range 2θ from 10° to 90°, sorted by position:
16.85 deg, rel. 39; 23.99 deg, rel. 20; 28.44 deg, rel. 23; 37.44 deg, rel. 100; 37.66 deg, rel. 29; 38.42 deg, rel. 22; 54.90 deg, rel. 15; 67.84 deg, rel. 15

Lattice parameters (Å, degrees): 10.5254 3.4524 7.4200 90.00 134.24 90.00
Positions (direct):
Mg1 0.0000 0.0000 0.0000
Mg2 0.1803 0.0000 0.5894
Mg3 0.3197 0.5000 0.4106
Mg4 0.5000 0.5000 0.0000
=====
## Outcome
Kinematic intensities with the Lorentz-polarization factor, no thermal factor.
Kinematic intensities with the Lorentz-polarization factor, no thermal factor.
Kinematic intensities with the Lorentz-polarization factor, no thermal factor.
Kinematic intensities with the Lorentz-polarization factor, no thermal factor.